== What to do ==
Could you print all of the calculation results underneath character by character?
== Input ==
┌──
Record 1
# C2HFMnO

A structure of composition C2HFMnO (the ωB97M-V functional and the def2-TZVPD basis, OMol25).

Each line ends with the natural charge from an NBO analysis.
Geometry (Å):
H 0.363584 0.191047 -1.710471  0.429
O -0.488304 -0.960003 -1.382244  -0.421
C 0.308152 -0.326975 -0.560973  0.158
C 0.146016 0.158665 0.676606  -0.183
F 0.941352 -0.483766 1.615722  -0.293
Mn -1.270801 1.421032 1.361360  1.312

Atoms 1-3, force components in eV/Å:
H 1.3 -0.2 1.6
O 1.2 0.8 2.0
C -3.1 -1.4 -6.5

Properties
net charge	+1
LUMO level (alpha / beta)	-0.2655 / -0.2571	Ha
2S+1	7
HOMO (alpha / beta)	-12.65 / -14.11	eV
HOMO-LUMO gap (alpha / beta)	5.42 / 7.11	eV

=====

Record 2
# C2HClFNO3

The molecule C2HClFNO3 (the ωB97M-V functional and the def2-TZVPD basis, OMol25).

Each line ends with the natural charge from an NBO analysis.
Geometry (Å):
C 0.271565 -1.287997 0.136363  0.841
C 0.030391 0.039932 -0.523083  -0.197
N -0.057332 1.165363 0.414419  0.198
O -0.137309 -2.339984 -0.107806  -0.460
O 0.092738 2.279437 -0.069458  -0.140
O -0.336349 0.901754 1.574854  -0.148
F 1.164716 -1.197021 1.119723  -0.319
Cl -1.616738 0.144240 -1.225638  -0.025
H 0.588320 0.294278 -1.319373  0.250

Atoms 1-3, force components in eV/Å:
C 1.2 0.5 0.8
C -3.7 0.9 2.6
N 2.6 -5.9 -3.9

Properties
LUMO level (alpha / beta)	0.0154 / -0.1526	Ha
2S+1	3
relative energy (zero: lowest compared OMol25 entry of this formula, charge and spin)	0.0	kJ/mol
HOMO (alpha / beta)	-8.91 / -11.79	eV
HOMO-LUMO gap (alpha / beta)	9.33 / 7.63	eV

~~~~~

{
  "formula": "C30H33As2MnNS4Sb",
  "method": "the ωB97M-V functional and the def2-TZVPD basis",
  "total_energy_ha": -8672.6672,
  "multiplicity": 1,
  "total_charge": 2,
  "lumo_ev": [-7.1, -7.1],
  "homo_lumo_gap_ev": [6.73, 6.72],
  "elements": ["Mn", "C", "C", "As", "C", "C", "C", "C", "C", "C", "C", "C", "C", "C", "C", "C", "As", "C", "C", "C", "C", "C", "C", "C", "C", "C", "C", "C", "C", "H", "H", "H", "H", "H", "H", "H", "H", "H", "H", "H", "H", "H", "H", "H", "H", "H", "H", "H", "H", "H", "H", "H", "H", "S", "Sb", "S", "S", "S", "C", "C", "C", "C", "N", "H", "H", "H", "H", "H", "H", "H", "H", "H"],
└──
== Response ==
Record 1
# C2HFMnO

A structure of composition C2HFMnO (the ωB97M-V functional and the def2-TZVPD basis, OMol25).

Each line ends with the natural charge from an NBO analysis.
Geometry (Å):
H 0.363584 0.191047 -1.710471  0.429
O -0.488304 -0.960003 -1.382244  -0.421
C 0.308152 -0.326975 -0.560973  0.158
C 0.146016 0.158665 0.676606  -0.183
F 0.941352 -0.483766 1.615722  -0.293
Mn -1.270801 1.421032 1.361360  1.312

Atoms 1-3, force components in eV/Å:
H 1.3 -0.2 1.6
O 1.2 0.8 2.0
C -3.1 -1.4 -6.5

Properties
net charge	+1
LUMO level (alpha / beta)	-0.2655 / -0.2571	Ha
2S+1	7
HOMO (alpha / beta)	-12.65 / -14.11	eV
HOMO-LUMO gap (alpha / beta)	5.42 / 7.11	eV

=====

Record 2
# C2HClFNO3

The molecule C2HClFNO3 (the ωB97M-V functional and the def2-TZVPD basis, OMol25).

Each line ends with the natural charge from an NBO analysis.
Geometry (Å):
C 0.271565 -1.287997 0.136363  0.841
C 0.030391 0.039932 -0.523083  -0.197
N -0.057332 1.165363 0.414419  0.198
O -0.137309 -2.339984 -0.107806  -0.460
O 0.092738 2.279437 -0.069458  -0.140
O -0.336349 0.901754 1.574854  -0.148
F 1.164716 -1.197021 1.119723  -0.319
Cl -1.616738 0.144240 -1.225638  -0.025
H 0.588320 0.294278 -1.319373  0.250

Atoms 1-3, force components in eV/Å:
C 1.2 0.5 0.8
C -3.7 0.9 2.6
N 2.6 -5.9 -3.9

Properties
LUMO level (alpha / beta)	0.0154 / -0.1526	Ha
2S+1	3
relative energy (zero: lowest compared OMol25 entry of this formula, charge and spin)	0.0	kJ/mol
HOMO (alpha / beta)	-8.91 / -11.79	eV
HOMO-LUMO gap (alpha / beta)	9.33 / 7.63	eV

~~~~~

{
  "formula": "C30H33As2MnNS4Sb",
  "method": "the ωB97M-V functional and the def2-TZVPD basis",
  "total_energy_ha": -8672.6672,
  "multiplicity": 1,
  "total_charge": 2,
  "lumo_ev": [-7.1, -7.1],
  "homo_lumo_gap_ev": [6.73, 6.72],
  "elements": ["Mn", "C", "C", "As", "C", "C", "C", "C", "C", "C", "C", "C", "C", "C", "C", "C", "As", "C", "C", "C", "C", "C", "C", "C", "C", "C", "C", "C", "C", "H", "H", "H", "H", "H", "H", "H", "H", "H", "H", "H", "H", "H", "H", "H", "H", "H", "H", "H", "H", "H", "H", "H", "H", "S", "Sb", "S", "S", "S", "C", "C", "C", "C", "N", "H", "H", "H", "H", "H", "H", "H", "H", "H"],